Do you want to make money, without any commitment and simply by referring customers to a great web services company when people tell you that they need it anyway. Why not be the person who just slips in a word and get rewarded for it? I’m talking here about up to 50% of the customer’s initial invoice. Oh yeah!
I’ll give you some examples. The most common of all, someone talks to you about putting a website online for their new business or professional services. The most common bill we have is $120 for 1 year of service and the commission is 50% on web hosting so you make $60, yeah, $60 just for referring us. And if the person wants one (or more) email accounts in the name of their company (example:,, well it’s $60 per year, per email account, exceptional service, super effective anti-spam included and it gives you $30 per account in your pocket.
Another example, a web designer or an employee of a web agency talks to you about the fact that it’s a lot of work and complicated to manage servers, networks, security and everything that comes with it and that he/she would like to concentrate on delivering a site for his/her clients or creating a great marketing campaign for them rather than worrying about finding why an email falls into SPAM or knowing how the new security feature must be added to his/her server. Well, WE LOVE doing exactly that. Refer them to us! A typical server billed for 1 year can earn you over $1000 in referral, yeah, I said $1000, just for referring AdocSys and our exceptional service.
All you have to do is create an account on our site by clicking on the icon in the upper right corner and then select “Register”.

_Data records, kept here for reference_
┌──
The following is a quantum chemistry calculation of 2 unconnected molecules or ions with the total composition C4H12O2Si at a distorted geometry, from the OMol25 dataset.

The relative energy (zero: lowest compared OMol25 entry of this formula, charge and spin) is 147.15 kcal/mol. The calculation puts the max |F| at 4.34 eV/Å. The calculation puts the HOMO-LUMO gap (spin up / spin down) at 8.94 / 9.31 eV. The highest occupied orbital energy (spin up / spin down) comes out at -10.16 / -10.09 eV.

Element x y z (Å)
Si: -1.45 -0.19 -0.32
O: 1.47 -1.01 0.00
O: -0.09 0.19 0.35
C: 2.43 -0.36 -0.66
C: -2.08 1.39 0.46
C: 3.25 0.65 0.08
C: -2.54 -1.54 0.40
H: 4.06 0.85 -0.49
H: -1.94 1.13 1.57
H: -1.53 -0.22 -1.83
H: -1.86 -2.35 0.85
H: -3.03 -2.09 -0.38
H: 2.09 0.00 -1.57
H: -3.11 1.62 0.17
H: -1.41 2.33 0.16
H: 3.08 -1.27 -0.94
H: 2.65 1.65 0.08
H: -3.35 -1.12 0.96
H: 3.39 0.34 1.10

---

The following is a quantum chemistry calculation of C5H4O2 in the gas phase, from the OMol25 dataset.

The SMILES is O=C1C=CCC1=O. The relative energy (zero: lowest compared OMol25 entry of this formula, charge and spin) is 17.69 kcal/mol. The calculation puts the max |F| at 0.73 eV/Å. The calculation puts the HOMO-LUMO gap at 8.89 eV. The highest occupied orbital energy comes out at -9.40 eV.

Element x y z (Å)
O: 1.83 1.44 0.93
O: -0.56 2.28 -0.62
C: -0.12 -1.18 -0.14
C: 1.12 -0.75 0.12
C: -1.15 -0.07 -0.15
C: -0.28 1.17 -0.27
C: 1.08 0.72 0.33
H: -0.37 -2.21 -0.38
H: -1.99 -0.23 -0.82
H: -1.59 0.17 0.83
H: 2.03 -1.33 0.15

---

The following is a quantum chemistry calculation of a molecular structure, C41H43MgN6O3PTe at a distorted geometry, from the OMol25 dataset.

The relative energy (zero: lowest compared OMol25 entry of this formula, charge and spin) is 6.89 kcal/mol. The calculation puts the max |F| at 1.57 eV/Å. The calculation puts the HOMO-LUMO gap at 6.26 eV. The highest occupied orbital energy comes out at -6.61 eV.

Element x y z (Å)
Te: 1.17 -0.80 5.44
P: -0.02 -0.88 3.41
Mg: 0.90 1.00 0.62
O: -0.22 -2.41 2.88
O: 0.22 -0.17 2.11
O: -1.49 -0.45 3.98
N: -0.21 -0.38 -0.69
N: 1.41 -0.51 -2.38
N: 2.58 1.25 2.07
N: 0.37 2.59 1.86
N: -0.63 -1.49 -2.69
N: -0.19 2.73 -0.60
C: -3.82 -0.38 0.11
C: -0.24 -0.86 -5.02
C: -0.79 3.18 1.62
C: 4.34 2.35 -1.65
C: 4.42 1.53 -2.76
C: -1.46 -4.20 3.95
C: -2.38 4.01 -1.71
C: -1.37 3.50 -2.52
C: -2.55 0.05 -0.22
C: -1.58 3.68 2.65
C: 0.15 -2.60 -6.66
C: 0.19 -0.76 -1.86
C: 4.63 0.70 3.14
C: -1.12 3.27 0.19
C: 2.34 1.17 -0.88
C: -2.96 -2.60 0.41
C: -0.04 -3.57 -5.68
C: -1.15 3.47 3.96
C: 0.06 2.85 4.20
C: 3.53 -0.30 -4.23
C: -0.42 0.59 -4.70
C: -3.87 -0.64 4.12
C: -1.68 -2.18 0.07
C: 2.15 1.84 3.18
C: 2.41 0.43 -2.05
C: -0.31 2.85 -1.91
C: -0.29 -3.20 -4.38
C: 0.04 -1.26 -6.32
C: 0.83 2.45 3.10
C: -0.54 -3.16 0.03
C: 2.91 1.81 4.36
C: -0.37 -1.85 -4.03
C: -2.66 -0.58 3.20
C: 3.76 0.67 2.05
C: 3.31 2.16 -0.73
C: -0.11 -3.55 3.70
C: 3.45 0.57 -2.99
C: -4.03 -1.71 0.42
C: -2.25 3.90 -0.33
C: 4.20 1.29 4.31
C: -1.48 -0.83 -0.27
└──

Then you can fill out the form, accept the terms and conditions and submit everything.

Once your account is created, you can go to the “Billing” menu and click on “Affiliates”.

And all you have to do is click on “Activate affiliate account”.

And this will take you to your account, in the section where you can see the details of the transactions of customers that you have referred.

From this point it is necessary to use the “Your unique reference link” in this page. Either you provide it to the customer you want to refer (email, text message, etc.) or you can also insert it into your website and ask customers to visit your site and click on the link.
Once you have accumulated at least $100, you will be able to “Request a withdrawal”. It is possible to convert this amount into credits to purchase new services or ask us to withdraw the amount directly. We may then agree on a payment method and reuse that method for future withdrawals.
Important notes
- The minimum amount required for a withdrawal is $100
- AdocSys may take up to 90 days to make a payment to its affiliate
- The reference percentage is applied to the total, before taxes, of the invoice (I.E.: if there is currently a 50% promotion on a product worth $120 and the invoice is $60, the reference will be 30$, when the same product is at full price, the reference will be 60$)
- To AdocSys’ full judgment and discretion, any attempt to circumvent the system or find a scheme to make more money in referral than initially designed by AdocSys may be refused or cancelled without notice and AdocSys reserves the right to close the account of the Affiliate at any time without notice and cancel any amount appearing in the account at that time
- AdocSys reserves the right to terminate its referral program and close the accounts of all its Affiliates at any time and make an arrangement with them